Start at the top of the material underneath and transcribe each line, ending with the one that has "(0.095, 0.500,", please.

- - -
Entry 1:
First-principles (GGA-PBE) data for a relaxed structure of TaTi2In, as listed in the Alexandria database.

Cell: 5.333 3.016 9.676 Å, 90.00 101.33 90.00°
Positions (direct):
Ta (0.000, 0.000, 0.000)
Ta (0.500, 0.500, 0.000)
Ti (0.093, 0.500, 0.761)
Ti (0.407, 0.000, 0.238)
Ti (0.593, 0.000, 0.761)
Ti (0.907, 0.500, 0.238)
In (0.331, 0.500, 0.499)
In (0.831, 0.000, 0.499)

Results
DOS at the Fermi energy = 1.082 states/eV/atom
DFT formation energy = 43 meV per atom


Entry 2:
First-principles (GGA-PBE) data for a relaxed structure of Ta3TiIn, as listed in the Alexandria database.

Cell: 4.735 4.735 4.735 Å, 90.00 90.00 90.00°
Positions (direct):
Ta (0.000, 0.000, 0.500)
Ta (0.000, 0.500, 0.000)
Ta (0.500, 0.000, 0.000)
Ti (0.000, 0.000, 0.000)
In (0.500, 0.500, 0.500)

Results
DOS at the Fermi energy = 1.083 states/eV/atom
relative energy among the computed polymorphs = 0.00 eV per formula unit
DFT formation energy = 1264 meV per atom


Entry 3:
First-principles (GGA-PBE) data for a relaxed structure of TaTi5In4, as listed in the Alexandria database.

Cell: 2.990 2.990 21.278 Å, 90.00 90.00 90.00°
Positions (direct):
Ta (0.000, 0.000, 0.000)
Ti (0.500, 0.500, 0.095)
Ti (0.500, 0.500, 0.300)
Ti (0.500, 0.500, 0.500)
Ti (0.500, 0.500, 0.700)
Ti (0.500, 0.500, 0.905)
In (0.000, 0.000, 0.199)
In (0.000, 0.000, 0.400)
In (0.000, 0.000, 0.600)
In (0.000, 0.000, 0.801)

Results
DOS at the Fermi energy = 1.107 states/eV/atom
relative energy among the computed polymorphs = 0.00 eV per formula unit
DFT formation energy = -96 meV per atom


Entry 4:
First-principles (GGA-PBE) data for a relaxed structure of TaTiIn, as listed in the Alexandria database.

Cell: 2.871 17.216 4.572 Å, 90.00 90.00 90.00°
Positions (direct):
Ta (0.000, 0.208, 0.250)
Ta (0.000, 0.792, 0.750)
Ta (0.500, 0.292, 0.750)
Ta (0.500, 0.708, 0.250)
Ti (0.000, 0.041, 0.250)
Ti (0.000, 0.959, 0.750)
Ti (0.500, 0.459, 0.750)
Ti (0.500, 0.541, 0.250)
In (0.000, 0.383, 0.250)
In (0.000, 0.617, 0.750)
In (0.500, 0.117, 0.750)
In (0.500, 0.883, 0.250)

Results
DOS at the Fermi energy = 1.177 states/eV/atom
relative energy among the computed polymorphs = 0.30 eV per formula unit
DFT formation energy = 119 meV per atom


Entry 5:
First-principles (GGA-PBE) data for a relaxed structure of TaTi3In, as listed in the Alexandria database.

Cell: 13.711 13.711 4.722 Å, 90.00 90.00 168.19°
Positions (direct):
Ta (0.222, 0.778, 0.750)
Ta (0.778, 0.222, 0.250)
Ti (0.321, 0.679, 0.750)
Ti (0.373, 0.627, 0.250)
Ti (0.475, 0.525, 0.250)
Ti (0.525, 0.475, 0.750)
Ti (0.627, 0.373, 0.750)
Ti (0.679, 0.321, 0.250)
In (0.075, 0.925, 0.250)
In (0.925, 0.075, 0.750)

Results
DOS at the Fermi energy = 1.267 states/eV/atom
relative energy among the computed polymorphs = 0.00 eV per formula unit
DFT formation energy = 30 meV per atom


Entry 6:
First-principles (GGA-PBE) data for a relaxed structure of TaTiIn, as listed in the Alexandria database.

Cell: 4.637 3.682 14.078 Å, 90.00 96.72 90.00°
Positions (direct):
Ta (0.215, 0.000, 0.418)
Ta (0.285, 0.500, 0.582)
Ta (0.715, 0.500, 0.418)
Ta (0.785, 0.000, 0.582)
Ti (0.095, 0.500, 0.271)
Ti (0.405, 0.000, 0.729)
Ti (0.595, 0.000, 0.271)
Ti (0.905, 0.500, 0.729)
In (0.039, 0.000, 0.104)
In (0.461, 0.500, 0.896)
In (0.539, 0.500, 0.104)
In (0.961, 0.000, 0.896)

Results
DOS at the Fermi energy = 1.081 states/eV/atom
relative energy among the computed polymorphs = 0.00 eV per formula unit
DFT formation energy = 20 meV per atom


Entry 7:
First-principles (GGA-PBE) data for a relaxed structure of TaTi3In, as listed in the Alexandria database.

Cell: 4.832 4.832 4.832 Å, 90.00 90.00 90.00°
Positions (direct):
Ta (0.000, 0.000, 0.000)
Ti (0.000, 0.000, 0.500)
Ti (0.000, 0.500, 0.000)
Ti (0.500, 0.000, 0.000)
In (0.500, 0.500, 0.500)

Results
DOS at the Fermi energy = 2.046 states/eV/atom
relative energy among the computed polymorphs = 4.24 eV per formula unit
DFT formation energy = 878 meV per atom


Entry 8:
- - -

Entry 1:
First-principles (GGA-PBE) data for a relaxed structure of TaTi2In, as listed in the Alexandria database.

Cell: 5.333 3.016 9.676 Å, 90.00 101.33 90.00°
Positions (direct):
Ta (0.000, 0.000, 0.000)
Ta (0.500, 0.500, 0.000)
Ti (0.093, 0.500, 0.761)
Ti (0.407, 0.000, 0.238)
Ti (0.593, 0.000, 0.761)
Ti (0.907, 0.500, 0.238)
In (0.331, 0.500, 0.499)
In (0.831, 0.000, 0.499)

Results
DOS at the Fermi energy = 1.082 states/eV/atom
DFT formation energy = 43 meV per atom


Entry 2:
First-principles (GGA-PBE) data for a relaxed structure of Ta3TiIn, as listed in the Alexandria database.

Cell: 4.735 4.735 4.735 Å, 90.00 90.00 90.00°
Positions (direct):
Ta (0.000, 0.000, 0.500)
Ta (0.000, 0.500, 0.000)
Ta (0.500, 0.000, 0.000)
Ti (0.000, 0.000, 0.000)
In (0.500, 0.500, 0.500)

Results
DOS at the Fermi energy = 1.083 states/eV/atom
relative energy among the computed polymorphs = 0.00 eV per formula unit
DFT formation energy = 1264 meV per atom


Entry 3:
First-principles (GGA-PBE) data for a relaxed structure of TaTi5In4, as listed in the Alexandria database.

Cell: 2.990 2.990 21.278 Å, 90.00 90.00 90.00°
Positions (direct):
Ta (0.000, 0.000, 0.000)
Ti (0.500, 0.500, 0.095)
Ti (0.500, 0.500, 0.300)
Ti (0.500, 0.500, 0.500)
Ti (0.500, 0.500, 0.700)
Ti (0.500, 0.500, 0.905)
In (0.000, 0.000, 0.199)
In (0.000, 0.000, 0.400)
In (0.000, 0.000, 0.600)
In (0.000, 0.000, 0.801)

Results
DOS at the Fermi energy = 1.107 states/eV/atom
relative energy among the computed polymorphs = 0.00 eV per formula unit
DFT formation energy = -96 meV per atom


Entry 4:
First-principles (GGA-PBE) data for a relaxed structure of TaTiIn, as listed in the Alexandria database.

Cell: 2.871 17.216 4.572 Å, 90.00 90.00 90.00°
Positions (direct):
Ta (0.000, 0.208, 0.250)
Ta (0.000, 0.792, 0.750)
Ta (0.500, 0.292, 0.750)
Ta (0.500, 0.708, 0.250)
Ti (0.000, 0.041, 0.250)
Ti (0.000, 0.959, 0.750)
Ti (0.500, 0.459, 0.750)
Ti (0.500, 0.541, 0.250)
In (0.000, 0.383, 0.250)
In (0.000, 0.617, 0.750)
In (0.500, 0.117, 0.750)
In (0.500, 0.883, 0.250)

Results
DOS at the Fermi energy = 1.177 states/eV/atom
relative energy among the computed polymorphs = 0.30 eV per formula unit
DFT formation energy = 119 meV per atom


Entry 5:
First-principles (GGA-PBE) data for a relaxed structure of TaTi3In, as listed in the Alexandria database.

Cell: 13.711 13.711 4.722 Å, 90.00 90.00 168.19°
Positions (direct):
Ta (0.222, 0.778, 0.750)
Ta (0.778, 0.222, 0.250)
Ti (0.321, 0.679, 0.750)
Ti (0.373, 0.627, 0.250)
Ti (0.475, 0.525, 0.250)
Ti (0.525, 0.475, 0.750)
Ti (0.627, 0.373, 0.750)
Ti (0.679, 0.321, 0.250)
In (0.075, 0.925, 0.250)
In (0.925, 0.075, 0.750)

Results
DOS at the Fermi energy = 1.267 states/eV/atom
relative energy among the computed polymorphs = 0.00 eV per formula unit
DFT formation energy = 30 meV per atom


Entry 6:
First-principles (GGA-PBE) data for a relaxed structure of TaTiIn, as listed in the Alexandria database.

Cell: 4.637 3.682 14.078 Å, 90.00 96.72 90.00°
Positions (direct):
Ta (0.215, 0.000, 0.418)
Ta (0.285, 0.500, 0.582)
Ta (0.715, 0.500, 0.418)
Ta (0.785, 0.000, 0.582)
Ti (0.095, 0.500, 0.271)